# Assignment
The reader should work out how many lines further below have the word "Ba" in them; a number is enough.

# File
'''
A relaxed structure of KW3, computed with PBE.

## Properties
relative energy among the computed polymorphs: 14 meV per atom
energy relative to the elements: 4.124 eV per formula unit
total moment: 0.0 μB per formula unit
space-group type: R-3m, No. 166

a = 11.401 Å, b = 11.401 Å, c = 11.401 Å
α = 14.13°, β = 14.13°, γ = 14.13°
Positions (direct):
W 0.761 0.761 0.761
W 0.500 0.500 0.500
W 0.239 0.239 0.239
K 0.000 0.000 0.000

=====

An optimized crystal structure of Al2CdSi, computed with PBE-GGA.

a = 5.023 Å, b = 5.023 Å, c = 5.023 Å
α = 129.96°, β = 129.96°, γ = 73.48°
Sites, in units of the cell vectors:
Al  0.000  0.000  0.000
Al  0.250  0.750  0.500
Si  0.750  0.250  0.500
Cd  0.500  0.500  0.000

Results
Total magnetic moment in μB per formula unit: 0.00
E_form (uncorrected) in kJ/mol of formula units: 107
Space group: I-4m2, No. 119
ΔE to the lowest computed polymorph in meV per atom: 102



An optimized crystal structure of ReTe2Se, computed with PBE-GGA.

a = 3.357 Å, b = 5.056 Å, c = 4.896 Å
α = 90.00°, β = 90.00°, γ = 90.00°
Sites, in units of the cell vectors:
Re  0.500  0.000  0.500
Se  0.000  0.500  0.500
Te  0.500  0.500  0.000
Te  0.000  0.000  0.000

Results
Total magnetic moment in μB per formula unit: 0.00
E_form (uncorrected) in kJ/mol of formula units: 386
Space group: Pmmm, No. 47

=====

1.
Entry from Alexandria via LeMat-Bulk: a geometry-optimized Tb3MgAg2 structure (PBE).

Cell lengths 3.687, 3.687, 11.139 Å; angles 90.00, 90.00, 90.00 degrees
Fractional positions:
Tb: 0.000 0.000 0.000
Tb: 0.000 0.000 0.326
Tb: 0.000 0.000 0.674
Mg: 0.500 0.500 0.500
Ag: 0.500 0.500 0.167
Ag: 0.500 0.500 0.833

Values from the calculation:
Symmetry   P4/mmm, No. 123
Raw total energy   -22.6 eV/cell
ΔE_f   -0.233 eV per atom

=====

2.
Entry from Alexandria via LeMat-Bulk: a geometry-optimized La3CdIr structure (PBE).

Cell lengths 10.095, 10.095, 8.777 Å; angles 105.60, 105.60, 122.15 degrees
Fractional positions:
La: 0.050 0.704 0.502
La: 0.202 0.548 0.001
La: 0.216 0.289 0.251
La: 0.289 0.216 0.751
La: 0.296 0.950 0.998
La: 0.452 0.798 0.499
La: 0.548 0.202 0.501
La: 0.704 0.050 0.002
La: 0.711 0.784 0.249
La: 0.784 0.711 0.749
La: 0.798 0.452 0.999
La: 0.950 0.296 0.498
Cd: 0.085 0.915 0.250
Cd: 0.412 0.588 0.750
Cd: 0.588 0.412 0.250
Cd: 0.915 0.085 0.750
Ir: 0.054 0.448 0.251
Ir: 0.448 0.054 0.751
Ir: 0.552 0.946 0.249
Ir: 0.946 0.552 0.749

Values from the calculation:
E above lowest polymorph   47 meV/atom
Symmetry   C2/c, No. 15
Raw total energy   -107.1 eV/cell
ΔE_f   -0.442 eV per atom

=====

3.
Entry from Alexandria via LeMat-Bulk: a geometry-optimized Nd4InPb3 structure (PBE).

Cell lengths 4.495, 4.714, 11.951 Å; angles 90.00, 90.00, 90.00 degrees
Fractional positions:
Nd: 0.000 0.000 0.000
Nd: 0.000 0.500 0.496
Nd: 0.500 0.000 0.729
Nd: 0.500 0.500 0.229
In: 0.000 0.000 0.275
Pb: 0.000 0.500 0.767
Pb: 0.500 0.000 0.451
Pb: 0.500 0.500 0.958

Values from the calculation:
Symmetry   Pmm2, No. 25
Raw total energy   -37.3 eV/cell
ΔE_f   -0.548 eV per atom

=====

4.
Entry from Alexandria via LeMat-Bulk: a geometry-optimized Hf2Sb2Pt structure (PBE).

Cell lengths 7.452, 7.452, 3.889 Å; angles 90.00, 90.00, 90.00 degrees
Fractional positions:
Hf: 0.147 0.353 0.000
Hf: 0.353 0.853 0.000
Hf: 0.647 0.147 0.000
Hf: 0.853 0.647 0.000
Sb: 0.156 0.656 0.500
Sb: 0.344 0.156 0.500
Sb: 0.656 0.844 0.500
Sb: 0.844 0.344 0.500
Pt: 0.000 0.000 0.500
Pt: 0.500 0.500 0.500

Values from the calculation:
Symmetry   P4/mbm, No. 127
Raw total energy   -71.1 eV/cell
Formation energy (no corrections)   -1.36 eV per formula unit

=====

5.
Entry from Alexandria via LeMat-Bulk: a geometry-optimized Ba8AgPd3I4 structure (PBE).

Cell lengths 10.363, 10.363, 10.363 Å; angles 53.82, 53.82, 53.82 degrees
Fractional positions:
Ba: 0.226 0.741 0.741
Ba: 0.234 0.234 0.234
Ba: 0.259 0.259 0.774
Ba: 0.259 0.774 0.259
Ba: 0.741 0.226 0.741
Ba: 0.741 0.741 0.226
Ba: 0.766 0.766 0.766
Ba: 0.774 0.259 0.259
Ag: 0.500 0.500 0.500
'''

# Here it is
8